Monday, May 24, 2010


This week marks the 15th anniversary of my marriage. I still cannot believe how incredibly blessed I am by God with the wife He has given me. So at this milestone, I have been doing so reflecting and thinking, and one of the things I have been thinking about is my children. We have been blessed by three - and they are all very different from one another. Different personalities, different temperaments, different talents, different abilities, different attitudes, different likes and dislikes, and lots more. What this means is that while we love them all the same, we do not treat them all the same. Our love for them means that we know them and treat them according to who they are and their unique needs. So we speak to them differently, discipline them differently, and interact with them differently, which, it seems to me, is how it should be.

Which led me to then think of the fact that we are children of our heavenly Father, and that we are all different too. And so our Father in heaven, in His perfect love for us, does not treat us all the same - but knowing us and loving us, treats us according to who we are and what He knows we need. And so while He loves us all the same, He blesses us differently, disciplines us differently, and leads us differently, which is how it should be.

Therefore, it is exactly because God is perfect love and perfectly loves that we should not expect to all be treated exactly the same. We sometimes fall into that trap of thinking that if God gives to one, He should give to all in the same way. Not at all. That is not love - that is mass production, and God doesn’t mass produce. Instead, He creates each individual life through a father and mother, specially created for them, and whom He will love through them.

Now, sinful parents do sinful things and do not always parent perfectly or with perfect love. Hopefully they try, but that is not always a constant either. One of the things sin has effected, and sometimes devastated, is our family relationships that were created by God for our good, not our harm. But what good news we have, in that our Father in heaven has dealt with our sin and restored His relationship with us through His Son, our Saviour Jesus Christ.

For what is constant from our Father is not what He gives us in this world and life, but what He gives us through His perfect love in His Son - His forgiveness, life, and salvation. This (and it seems to me this is what Galatians 3:28 is about) is the same for us all. And so what is constant in our life is not us or what we have, but our triune God, who is the same yesterday, today, and forever (Hebrews 13:8).

My mother used to tell me that being a strict parent wasn’t bad. By being strong in things that didn’t really matter so much (like bedtimes, curfews, and TV watching), my children would know that I would also be strong in the things that mattered; that they could count on me to be there for them when it mattered most. And by being loving and strong in the things that matter most, they also knew that I would be loving in the little things - even if they disagreed with me.

How true as well for God. By His love for us in the thing that mattered most - our eternal salvation - by sending his Son to die for us on the cross, we know that He is loving to us in all other things as well; the earthly things that don’t matter as much. We know that we can count on Him in all things, and know that in all things He is loving us with His perfect love - even if we may not understand, or even disagree from time to time.


Rev. James Leistico said...

/*
[1]
Starting from a crystal structure in Alexandria, relaxed with PBE, the powder XRD pattern of SmHoHg3 was computed for Cu Kα.
Lines closer than 0.1° are merged.

Main lines, by angle (2θ from 10° to 90°):
32.17 deg, I 100.0, hkl 1 3 1; 32.96 deg, I 36.6, hkl 1 7 0; 35.86 deg, I 81.5, hkl 0 10 1; 36.43 deg, I 47.3, hkl 0 0 2; 41.82 deg, I 29.4, hkl 1 9 1; 63.73 deg, I 31.2, hkl 2 10 1

Cell and atoms:
Cell lengths 3.5946, 29.0707, 4.9329 Å; angles 90.00, 90.00, 90.00 degrees
Space group Cmcm (No. 63)
Inequivalent atoms, fractional coordinates:
Sm1 0.0000 0.0764 0.2500
Ho1 0.0000 0.2109 0.7500
Hg1 0.0000 0.3176 0.7500
Hg2 0.0000 0.3772 0.2500
Hg3 0.0000 0.4758 0.2500

[2]
Starting from a crystal structure in Alexandria, relaxed with PBE, the powder XRD pattern of Y3HoPd2 was computed for Cu Kα.
Lines closer than 0.1° are merged.

Main lines, by angle (2θ from 10° to 90°):
29.17 deg, I 28.7, hkl 0 3 1; 31.74 deg, I 36.8, hkl 1 2 1; 32.72 deg, I 23.1, hkl 0 1 3; 33.02 deg, I 100.0, hkl 1 1 2; 37.91 deg, I 43.7, hkl 1 3 1; 38.08 deg, I 17.9, hkl 0 4 1

Cell and atoms:
Cell lengths 3.7577, 9.8370, 8.5491 Å; angles 90.00, 90.00, 90.00 degrees
Space group Pmc2_1 (No. 26)
Inequivalent atoms, fractional coordinates:
Y1 0.0000 0.0651 0.0000
Y2 0.0000 0.2833 0.3375
Y3 0.5000 0.2175 0.6799
Ho1 0.5000 0.4371 0.0172
Pd1 0.0000 0.4315 0.7446
Pd2 0.5000 0.0699 0.2738

[3]
Starting from a crystal structure in Alexandria, relaxed with PBE, the powder XRD pattern of K3LaHo2S6 was computed for Cu Kα.
Lines closer than 0.1° are merged.

Main lines, by angle (2θ from 10° to 90°):
12.00 deg, I 72.7, hkl 0 0 1; 25.28 deg, I 25.1, hkl 1 3 0; 26.24 deg, I 34.2, hkl 2 0 0; 29.80 deg, I 100.0, hkl 1 3 1; 41.30 deg, I 35.3, hkl 2 0 2; 43.95 deg, I 33.9, hkl 0 6 0

Cell and atoms:
Cell lengths 7.1358, 12.3610, 7.7503 Å; angles 90.00, 107.91, 90.00 degrees
Space group C2/m (No. 12)
Inequivalent atoms, fractional coordinates:
K1 0.0000 0.0000 0.0000
K2 0.0000 0.3345 0.0000
La1 0.0000 0.5000 0.5000
Ho1 0.0000 0.1668 0.5000
S1 0.2214 0.0000 0.7031
S2 0.2409 0.3268 0.7030

[4]
Starting from a crystal structure in Alexandria, relaxed with PBE, the powder XRD pattern of Rb3Pu3PbSe8 was computed for Cu Kα.
Lines closer than 0.1° are merged.

Main lines, by angle (2θ from 10° to 90°):
11.12 deg, I 69.1, hkl 0 0 3; 28.32 deg, I 100.0, hkl 0 2 4; 35.76 deg, I 22.2, hkl 0 2 7; 38.72 deg, I 34.6, hkl 2 0 8; 42.17 deg, I 36.1, hkl 2 2 0; 51.58 deg, I 18.6, hkl 4 0 4

Cell and atoms:
Cell lengths 8.5708, 8.5708, 23.8736 Å; angles 90.00, 90.00, 120.00 degrees
Space group R-3m (No. 166, hexagonal axes)
Inequivalent atoms, fractional coordinates:
Rb1 0.0000 0.5000 0.0000
Pu1 0.0000 0.5000 0.5000
Pb1 0.0000 0.0000 0.5000
Se1 0.0000 0.0000 0.2312
Se2 0.0232 0.5116 0.7686

[5]
Starting from a crystal structure in Alexandria, relaxed with PBE, the powder XRD pattern of Li4Ti7O16 was computed for Cu Kα.
Lines closer than 0.1° are merged.

Main lines, by angle (2θ from 10° to 90°):
*/

didn't have the chance to read the whole post yet, but didn't want to let the opportunity pass to say Happy Anniversary dear brother.

Pastor Peasant said...

Thanks Jim!